# Source
- - -
Diffraction record for NaCrGaO4. The XRD peak list is theoretical, not measured: it uses a PBE+U-relaxed structure and CuKα.
No peak broadening, texture or thermal motion is included.

Structure:
```
NaCrGaO4
1.0
5.356 0.000 0.000
0.000 5.270 0.000
-2.675 0.000 6.546
Na Cr Ga O
2 2 2 8
Direct
0.095 0.250 0.149
0.905 0.750 0.851
0.310 0.750 0.459
0.690 0.250 0.541
0.246 0.250 0.679
0.754 0.750 0.321
0.004 0.250 0.805
0.051 0.750 0.576
0.493 0.509 0.328
0.493 0.991 0.328
0.507 0.009 0.672
0.507 0.491 0.672
0.949 0.250 0.424
0.996 0.750 0.195
```

Most intense lines, 2θ = 10–80°, low angle first:
- (0 0 1), 13.53°, I = 100
- (0 1 1), 21.65°, I = 35
- (1 1 -2), 31.43°, I = 23
- (0 1 2), 32.19°, I = 18
- (0 2 0), 34.02°, I = 25
- (2 1 -2), 40.21°, I = 19

=====

This entry pairs a crystal structure of Li4TiFe3Sn2P6O24 with its calculated X-ray powder pattern. Radiation: Cu Kα (weighted mean of Kα1 and Kα2). Structure: a crystal structure in Alexandria, relaxed with GGA+U.
Intensities are scaled so that the largest is 100.

The 12 most intense peaks (10 to 80 degrees two-theta), low angle first:
d (Å)  I (rel.)  (hkl)
4.344  95  1 1 -1
4.288  100  1 -2 1
4.248  100  2 -1 0
3.848  99  1 -2 0
3.779  76  -2 1 1
3.705  88  1 -2 2
2.966  74  1 1 1
2.935  99  -2 1 2
2.898  62  1 1 -3
2.849  58  1 -2 3
2.480  64  3 0 -1
2.450  63  3 -3 1

Crystal structure
```
data_Li4TiFe3Sn2P6O24
_space_group_name_H-M_alt 'P 1'
_space_group_IT_number 1
_cell_length_a 8.4990
_cell_length_b 8.5874
_cell_length_c 9.2307
_cell_angle_alpha 115.63
_cell_angle_beta 91.55
_cell_angle_gamma 118.85
loop_
_space_group_symop_operation_xyz
'x,y,z'
loop_
_atom_site_label
_atom_site_fract_x
_atom_site_fract_y
_atom_site_fract_z
_atom_site_occupancy
Li1 0.0000 0.0000 0.0000 1
Li2 0.0844 0.9682 0.4944 1
Li3 0.2453 0.6493 0.0103 1
Li4 0.5968 0.2583 0.9861 1
Ti1 0.0420 0.4789 0.2905 1
Fe1 0.2453 0.8802 0.8758 1
Fe2 0.5640 0.5565 0.8474 1
Fe3 0.7048 0.8427 0.3529 1
Sn1 0.4376 0.2805 0.4140 1
Sn2 0.8477 0.1299 0.7542 1
P1 0.1475 0.4010 0.6056 1
P2 0.3443 0.3992 0.1038 1
P3 0.4247 0.9641 0.5727 1
P4 0.6617 0.0060 0.0981 1
P5 0.8595 0.6988 0.5978 1
P6 0.9381 0.6906 0.1027 1
O1 0.0213 0.1815 0.5842 1
O2 0.0238 0.8602 0.7597 1
O3 0.0319 0.5824 0.1332 1
O4 0.0689 0.8291 0.0398 1
O5 0.0821 0.3879 0.4400 1
O6 0.1368 0.5564 0.7614 1
O7 0.1422 0.3304 0.1336 1
O8 0.2803 0.7391 0.4273 1
O9 0.3499 0.2053 0.0176 1
O10 0.3553 0.4522 0.6281 1
O11 0.3639 0.1033 0.5576 1
O12 0.3668 0.4988 0.9930 1
O13 0.4397 0.9876 0.7477 1
O14 0.4516 0.9198 0.0334 1
O15 0.4935 0.5506 0.2773 1
O16 0.6238 0.0304 0.5488 1
O17 0.6995 0.0080 0.2600 1
O18 0.6993 0.5243 0.6194 1
O19 0.7237 0.8812 0.9595 1
O20 0.7378 0.5167 0.9715 1
O21 0.7806 0.2377 0.1371 1
O22 0.7879 0.8225 0.5667 1
O23 0.9205 0.6063 0.4434 1
O24 0.9234 0.8236 0.2714 1
```
- - -
# Assignment
Duplicate everything earlier on exactly.
# Written answer
Diffraction record for NaCrGaO4. The XRD peak list is theoretical, not measured: it uses a PBE+U-relaxed structure and CuKα.
No peak broadening, texture or thermal motion is included.

Structure:
```
NaCrGaO4
1.0
5.356 0.000 0.000
0.000 5.270 0.000
-2.675 0.000 6.546
Na Cr Ga O
2 2 2 8
Direct
0.095 0.250 0.149
0.905 0.750 0.851
0.310 0.750 0.459
0.690 0.250 0.541
0.246 0.250 0.679
0.754 0.750 0.321
0.004 0.250 0.805
0.051 0.750 0.576
0.493 0.509 0.328
0.493 0.991 0.328
0.507 0.009 0.672
0.507 0.491 0.672
0.949 0.250 0.424
0.996 0.750 0.195
```

Most intense lines, 2θ = 10–80°, low angle first:
- (0 0 1), 13.53°, I = 100
- (0 1 1), 21.65°, I = 35
- (1 1 -2), 31.43°, I = 23
- (0 1 2), 32.19°, I = 18
- (0 2 0), 34.02°, I = 25
- (2 1 -2), 40.21°, I = 19

=====

This entry pairs a crystal structure of Li4TiFe3Sn2P6O24 with its calculated X-ray powder pattern. Radiation: Cu Kα (weighted mean of Kα1 and Kα2). Structure: a crystal structure in Alexandria, relaxed with GGA+U.
Intensities are scaled so that the largest is 100.

The 12 most intense peaks (10 to 80 degrees two-theta), low angle first:
d (Å)  I (rel.)  (hkl)
4.344  95  1 1 -1
4.288  100  1 -2 1
4.248  100  2 -1 0
3.848  99  1 -2 0
3.779  76  -2 1 1
3.705  88  1 -2 2
2.966  74  1 1 1
2.935  99  -2 1 2
2.898  62  1 1 -3
2.849  58  1 -2 3
2.480  64  3 0 -1
2.450  63  3 -3 1

Crystal structure
```
data_Li4TiFe3Sn2P6O24
_space_group_name_H-M_alt 'P 1'
_space_group_IT_number 1
_cell_length_a 8.4990
_cell_length_b 8.5874
_cell_length_c 9.2307
_cell_angle_alpha 115.63
_cell_angle_beta 91.55
_cell_angle_gamma 118.85
loop_
_space_group_symop_operation_xyz
'x,y,z'
loop_
_atom_site_label
_atom_site_fract_x
_atom_site_fract_y
_atom_site_fract_z
_atom_site_occupancy
Li1 0.0000 0.0000 0.0000 1
Li2 0.0844 0.9682 0.4944 1
Li3 0.2453 0.6493 0.0103 1
Li4 0.5968 0.2583 0.9861 1
Ti1 0.0420 0.4789 0.2905 1
Fe1 0.2453 0.8802 0.8758 1
Fe2 0.5640 0.5565 0.8474 1
Fe3 0.7048 0.8427 0.3529 1
Sn1 0.4376 0.2805 0.4140 1
Sn2 0.8477 0.1299 0.7542 1
P1 0.1475 0.4010 0.6056 1
P2 0.3443 0.3992 0.1038 1
P3 0.4247 0.9641 0.5727 1
P4 0.6617 0.0060 0.0981 1
P5 0.8595 0.6988 0.5978 1
P6 0.9381 0.6906 0.1027 1
O1 0.0213 0.1815 0.5842 1
O2 0.0238 0.8602 0.7597 1
O3 0.0319 0.5824 0.1332 1
O4 0.0689 0.8291 0.0398 1
O5 0.0821 0.3879 0.4400 1
O6 0.1368 0.5564 0.7614 1
O7 0.1422 0.3304 0.1336 1
O8 0.2803 0.7391 0.4273 1
O9 0.3499 0.2053 0.0176 1
O10 0.3553 0.4522 0.6281 1
O11 0.3639 0.1033 0.5576 1
O12 0.3668 0.4988 0.9930 1
O13 0.4397 0.9876 0.7477 1
O14 0.4516 0.9198 0.0334 1
O15 0.4935 0.5506 0.2773 1
O16 0.6238 0.0304 0.5488 1
O17 0.6995 0.0080 0.2600 1
O18 0.6993 0.5243 0.6194 1
O19 0.7237 0.8812 0.9595 1
O20 0.7378 0.5167 0.9715 1
O21 0.7806 0.2377 0.1371 1
O22 0.7879 0.8225 0.5667 1
O23 0.9205 0.6063 0.4434 1
O24 0.9234 0.8236 0.2714 1
```